Find "0.605" and "0.307" in the contents below, and print these two lines and those between, please.

********
Entry 1:
Below is a geometry-optimized SrCa7Ti2Mn6O21 structure, with properties calculated at the PBE+U level.

Values from the calculation:
Symmetry: No. 1
Energy above the lowest structure with this stoichiometry (eV per formula unit): 0.36
E_form (eV per atom): -2.78

a b c (Å): 7.746 7.850 7.879
angles (deg): 90.64 90.52 90.06
Sites, in units of the cell vectors:
Sr  0.000  0.000  0.000
Ca  0.022  0.486  0.494
Ca  0.513  0.010  0.521
Ca  0.515  0.463  0.486
Ca  0.530  0.455  0.975
Ca  0.542  0.003  0.017
Ca  0.990  0.039  0.472
Ca  0.996  0.464  0.958
Ti  0.268  0.749  0.753
Ti  0.274  0.745  0.223
Mn  0.259  0.234  0.727
Mn  0.263  0.268  0.235
Mn  0.753  0.256  0.734
Mn  0.756  0.772  0.260
Mn  0.758  0.741  0.748
Mn  0.759  0.264  0.243
O  0.004  0.266  0.701
O  0.005  0.705  0.779
O  0.015  0.274  0.272
O  0.069  0.839  0.271
O  0.215  0.955  0.659
O  0.224  0.266  0.982
O  0.275  0.528  0.291
O  0.284  0.526  0.674
O  0.287  0.764  0.991
O  0.302  0.227  0.475
O  0.471  0.850  0.286
O  0.507  0.256  0.190
O  0.510  0.196  0.778
O  0.514  0.800  0.734
O  0.706  0.498  0.734
O  0.721  0.229  0.499
O  0.742  0.771  0.998
O  0.743  0.520  0.270
O  0.775  0.019  0.224
O  0.784  0.814  0.516
O  0.788  0.257  0.975


Entry 2:
Below is a geometry-optimized Sr5Ca3Ti3Mn5O20 structure, with properties calculated at the PBE+U level.

Values from the calculation:
Symmetry: No. 1
E_form (eV per atom): -2.95

a b c (Å): 11.110 11.300 17.612
angles (deg): 71.32 71.83 89.91
Sites, in units of the cell vectors:
Sr  0.000  0.000  0.000
Sr  0.000  0.496  0.504
Sr  0.111  0.125  0.279
Sr  0.114  0.620  0.278
Sr  0.244  0.260  0.504
Sr  0.246  0.760  0.506
Sr  0.251  0.762  0.999
Sr  0.253  0.264  0.999
Sr  0.356  0.362  0.278
Sr  0.360  0.865  0.276
Sr  0.493  0.997  0.505
Sr  0.494  0.500  0.504
Sr  0.503  0.502  0.997
Sr  0.605  0.624  0.277
Sr  0.607  0.125  0.279
Sr  0.744  0.760  0.505
Sr  0.749  0.262  0.504
Sr  0.749  0.267  0.997
Sr  0.858  0.864  0.276
Sr  0.860  0.363  0.277
Ca  0.002  0.502  0.996
Ca  0.009  0.998  0.502
Ca  0.111  0.629  0.780
Ca  0.112  0.130  0.781
Ca  0.361  0.858  0.779
Ca  0.367  0.352  0.781
Ca  0.504  0.998  0.995
Ca  0.616  0.131  0.779
Ca  0.619  0.624  0.777
Ca  0.755  0.768  0.994
Ca  0.860  0.354  0.779
Ca  0.870  0.860  0.776
Ti  0.052  0.812  0.887
Ti  0.053  0.812  0.391
Ti  0.057  0.316  0.888
Ti  0.307  0.569  0.882
Ti  0.308  0.062  0.885
Ti  0.550  0.311  0.392
Ti  0.550  0.812  0.390
Ti  0.562  0.816  0.879
Ti  0.803  0.062  0.393
Ti  0.803  0.062  0.889
Ti  0.803  0.562  0.389
Ti  0.807  0.563  0.884
Mn  0.054  0.310  0.391
Mn  0.191  0.965  0.647
Mn  0.192  0.468  0.135
Mn  0.194  0.461  0.648
Mn  0.196  0.967  0.136
Mn  0.300  0.059  0.393
Mn  0.302  0.562  0.392
Mn  0.442  0.652  0.645
Mn  0.447  0.154  0.644
Mn  0.450  0.157  0.133
Mn  0.454  0.666  0.131
Mn  0.553  0.312  0.886
Mn  0.692  0.966  0.137
Mn  0.696  0.463  0.643
Mn  0.699  0.967  0.641
Mn  0.701  0.471  0.134
Mn  0.942  0.655  0.643
Mn  0.942  0.657  0.136
Mn  0.945  0.164  0.138
Mn  0.946  0.153  0.644
O  0.096  0.841  0.765
O  0.102  0.348  0.762
O  0.111  0.856  0.262
O  0.119  0.367  0.252
O  0.121  0.135  0.651
O  0.123  0.621  0.651
O  0.123  0.629  0.137
O  0.129  0.136  0.137
O  0.164  0.682  0.900
O  0.170  0.189  0.897
O  0.173  0.685  0.398
O  0.177  0.177  0.397
O  0.178  0.938  0.383
O  0.181  0.445  0.873
O  0.182  0.941  0.872
O  0.185  0.443  0.386
O  0.220  0.973  0.528
O  0.227  0.480  0.015
O  0.229  0.977  0.011
O  0.232  0.479  0.533
O  0.343  0.660  0.763
O  0.345  0.156  0.764
O  0.369  0.144  0.247
O  0.371  0.475  0.652
O  0.373  0.506  0.134
O  0.376  0.652  0.245
O  0.376  0.982  0.650
O  0.386  0.997  0.127
O  0.419  0.683  0.896
O  0.420  0.173  0.898
O  0.423  0.683  0.397
O  0.425  0.184  0.396
O  0.428  0.453  0.872
O  0.430  0.940  0.384
O  0.431  0.441  0.384
O  0.433  0.946  0.872
O  0.482  0.762  0.519
O  0.482  0.778  0.014
O  0.485  0.265  0.517
O  0.486  0.271  0.016
********

Sr  0.605  0.624  0.277
Sr  0.607  0.125  0.279
Sr  0.744  0.760  0.505
Sr  0.749  0.262  0.504
Sr  0.749  0.267  0.997
Sr  0.858  0.864  0.276
Sr  0.860  0.363  0.277
Ca  0.002  0.502  0.996
Ca  0.009  0.998  0.502
Ca  0.111  0.629  0.780
Ca  0.112  0.130  0.781
Ca  0.361  0.858  0.779
Ca  0.367  0.352  0.781
Ca  0.504  0.998  0.995
Ca  0.616  0.131  0.779
Ca  0.619  0.624  0.777
Ca  0.755  0.768  0.994
Ca  0.860  0.354  0.779
Ca  0.870  0.860  0.776
Ti  0.052  0.812  0.887
Ti  0.053  0.812  0.391
Ti  0.057  0.316  0.888
Ti  0.307  0.569  0.882